Missouri Master Naturalists- Springfield Plateau Chapter

== Inserted here: records of crystals ==
- - -
The following is a calculated X-ray powder pattern of CdRhO3. It was derived from a cell relaxed with PBE, using copper Kα.

Principal peaks in the range 5 to 70 degrees two-theta, in order of rising 2θ:
| (hkl) | d (Å) | 2theta | I/Imax |
| --- | --- | --- | --- |
| 1 1 0 | 2.794 | 32.0 | 100 |
| 1 1 1 | 2.281 | 39.5 | 3 |
| 2 0 0 | 1.976 | 45.9 | 31 |
| 2 1 1 | 1.613 | 57.1 | 38 |
| 2 2 0 | 1.397 | 67.0 | 18 |

Cell and atoms:
```
CdRhO3
1.0
3.9516 0.0000 0.0000
0.0000 3.9516 0.0000
0.0000 0.0000 3.9516
Cd Rh O
1 1 3
Direct
0.0000 0.0000 0.0000 Cd
0.5000 0.5000 0.5000 Rh
0.0000 0.5000 0.5000 O
0.5000 0.0000 0.5000 O
0.5000 0.5000 0.0000 O
```

* * * * *

# 1
Starting from a DFT-relaxed cell (PBE, OQMD), the powder X-ray diffraction pattern of ErTmNi2As2 was computed for λ = 1.5418 Å (Cu Kα).
Intensities are scaled so that the largest is 100.

Principal peaks in the range 2θ = 10–80°, sorted by position:
Position (°2θ)	d_spacing	I/Imax	index
25.46	3.498	18	1 0 0
35.01	2.563	100	1 0 4
44.88	2.020	42	1 1 0
48.34	1.883	11	0 0 8
55.42	1.658	5	1 0 8
58.16	1.586	23	2 0 4
68.08	1.377	22	1 1 8
76.34	1.247	21	2 1 4

```
data_ErTmNi2As2
_symmetry_space_group_name_H-M 'P 63/m m c'
_symmetry_Int_Tables_number 194
_symmetry_space_group_name_Hall '-P 6c 2c'
_cell_length_a 4.0392
_cell_length_b 4.0392
_cell_length_c 15.0619
_cell_angle_alpha 90.00
_cell_angle_beta 90.00
_cell_angle_gamma 120.00
loop_
_atom_site_label
_atom_site_type_symbol
_atom_site_fract_x
_atom_site_fract_y
_atom_site_fract_z
_atom_site_occupancy
Er1 Er 0.0000 0.0000 0.0000 1
Tm1 Tm 0.0000 0.0000 0.2500 1
Ni1 Ni 0.3333 0.6667 0.1351 1
As1 As 0.3333 0.6667 0.6202 1
```

***

# 2
Starting from a DFT-relaxed cell (PBE, OQMD), the powder X-ray diffraction pattern of Cu9Sb was computed for λ = 1.5418 Å (Cu Kα).
Intensities are scaled so that the largest is 100.

Principal peaks in the range 2θ = 10–80°, sorted by position:
Position (°2θ)	d_spacing	I/Imax	index
39.78	2.266	12	0 1 13
42.39	2.132	100	1 1 0
43.57	2.077	62	0 1 15
45.56	1.991	17	0 1 16
48.63	1.872	43	1 0 15
50.46	1.809	12	1 0 16
52.81	1.734	25	0 2 0
74.60	1.272	22	1 2 15

```
data_Cu9Sb
_symmetry_space_group_name_H-M 'P m m n'
_symmetry_Int_Tables_number 59
_cell_length_a 2.7054
_cell_length_b 3.4679
_cell_length_c 38.9098
_cell_angle_alpha 90.00
_cell_angle_beta 90.00
_cell_angle_gamma 90.00
loop_
_symmetry_equiv_pos_as_xyz
'x,y,z'
'-x,-y,-z'
'-x+1/2,-y+1/2,z'
'x+1/2,y+1/2,-z'
'x+1/2,-y,-z'
'-x+1/2,y,z'
'-x,y+1/2,-z'
'x,-y+1/2,z'
loop_
_atom_site_label
_atom_site_type_symbol
_atom_site_fract_x
_atom_site_fract_y
_atom_site_fract_z
_atom_site_occupancy
Cu1 Cu 0.2500 0.2500 0.0162 1
Cu2 Cu 0.2500 0.2500 0.0809 1
Cu3 Cu 0.2500 0.2500 0.1460 1
Cu4 Cu 0.2500 0.2500 0.2115 1
Cu5 Cu 0.2500 0.2500 0.2776 1
Cu6 Cu 0.2500 0.2500 0.7554 1
Cu7 Cu 0.2500 0.2500 0.8213 1
Cu8 Cu 0.2500 0.2500 0.8866 1
Cu9 Cu 0.2500 0.2500 0.9515 1
Sb1 Sb 0.2500 0.2500 0.6775 1
```

***

# 3
- - -
== End of the records of crystals ==

Sunday, July 1, 2018

Ostracod Diner

Linda Bower has produced one of her finest water macro videos, matching action with music in a way that Beethoven would be proud of.  This one is of the larvae of a predaceous diving beetle that seems built to feed on ostracods.  For those of us unfamiliar with these species, this will take a lot of explaining.  First I am taking this directly from our 2017 blog posting about ostracods in a fountain.

Inserted here: records of crystals.
........
DyMn2PO8: theoretical powder diffraction line list (λ = 1.5418 Å (Cu Kα)), based on the GGA+U geometry in Alexandria.

Crystal structure
Unit cell a=5.692 b=5.692 c=5.662 alpha=90.00 beta=90.00 gamma=120.00
Fractional coordinates of all 12 atoms:
Dy: 0.000 0.000 0.000
Mn: 0.333 0.667 0.587
Mn: 0.667 0.333 0.413
P: 0.000 0.000 0.500
O: 0.142 0.284 0.682
O: 0.142 0.858 0.682
O: 0.284 0.142 0.318
O: 0.333 0.667 0.287
O: 0.667 0.333 0.713
O: 0.716 0.858 0.682
O: 0.858 0.142 0.318
O: 0.858 0.716 0.318

Top 10 peaks for 2θ from 10° to 80°, by intensity:
- (1 0 1), d = 3.718 Å, intensity 100.0
- (1 1 0), d = 2.846 Å, intensity 84.6
- (1 0 0), d = 4.930 Å, intensity 82.5
- (2 0 1), d = 2.260 Å, intensity 38.0
- (0 1 2), d = 2.455 Å, intensity 37.5
- (1 1 2), d = 2.007 Å, intensity 33.4
- (2 1 1), d = 1.770 Å, intensity 33.2
- (2 2 0), d = 1.422 Å, intensity 26.3
- (1 2 2), d = 1.556 Å, intensity 25.2
- (2 0 2), d = 1.859 Å, intensity 21.2

~~~~~

For FeOF, the PBE+U geometry in the Materials Project gives the theoretical X-ray diffraction stick pattern in this record (Cu Kα (λ = 1.5418 Å)).
Peak positions follow from Bragg's law for the DFT cell and can differ from measured ones.

Lattice parameters (Å, degrees): 5.6473 4.7491 5.6654 90.00 114.32 90.00
Atoms (fractional coordinates):
1 Fe 0.2191 0.0247 0.2470
2 Fe 0.2191 0.4753 0.7470
3 Fe 0.7809 0.5247 0.2530
4 Fe 0.7809 0.9753 0.7530
5 O 0.0994 0.1947 0.9076
6 O 0.0994 0.3053 0.4076
7 O 0.9006 0.6947 0.5924
8 O 0.9006 0.8053 0.0924
9 F 0.4057 0.6928 0.1022
10 F 0.4057 0.8072 0.6022
11 F 0.5943 0.1928 0.3978
12 F 0.5943 0.3072 0.8978

Peak list (8 most intense, 10° ≤ 2θ ≤ 90°, in order of falling intensity)
h k l  d_spacing  I_rel
1 1 -1  3.359  100
0 0 2  2.578  38
1 1 -3  1.749  31
2 2 0  1.745  25
2 2 -2  1.680  16
1 3 1  1.406  14
2 0 0  2.573  11
2 1 0  2.262  10

For Li2V2F7, the PBE+U geometry in the Materials Project gives the theoretical X-ray diffraction stick pattern in this record (Cu Kα (λ = 1.5418 Å)).
Peak positions follow from Bragg's law for the DFT cell and can differ from measured ones.

Lattice parameters (Å, degrees): 5.4671 6.9077 8.5725 70.62 75.83 85.21
Atoms (fractional coordinates):
1 Li 0.1332 0.0206 0.2543
2 Li 0.3334 0.7635 0.8961
3 Li 0.6666 0.2365 0.1039
4 Li 0.8668 0.9794 0.7457
5 V 0.1804 0.4838 0.3278
6 V 0.2938 0.2744 0.8211
7 V 0.7062 0.7256 0.1789
8 V 0.8196 0.5162 0.6722
9 F 0.0703 0.2157 0.3732
10 F 0.0906 0.6137 0.1089
11 F 0.1624 0.0073 0.8136
12 F 0.1837 0.4231 0.5766
13 F 0.3192 0.7568 0.2962
14 F 0.3660 0.1794 0.0582
15 F 0.4600 0.5697 0.7739
16 F 0.5400 0.4303 0.2261
17 F 0.6340 0.8206 0.9418
18 F 0.6808 0.2432 0.7038
19 F 0.8163 0.5769 0.4234
20 F 0.8376 0.9927 0.1864
21 F 0.9094 0.3863 0.8911
22 F 0.9297 0.7843 0.6268

Peak list (8 most intense, 10° ≤ 2θ ≤ 90°, in order of falling intensity)
h k l  d_spacing  I_rel
0 1 0  6.516  100
0 1 1  6.071  99
-2 1 1  2.283  59
1 3 1  2.159  50
1 0 4  2.001  45
0 0 2  3.934  43
1 1 0  4.114  39
1 0 2  3.579  35
........

Ostracods, a.k.a. seed shrimp, are tiny crustaceans that live in water.  They are an ancient species with 70,000 species identified but "only" 13,000 that have survived extinction.  They are common in fresh water, frequently in temporary pools and ponds.  Their eggs resist dehydration and can wait for months or many years before hatching with their next hydration.
Click to enlarge - Pionocypris vidua, - bumblebee.org

Their flattened bodies lie within a bivalve structure similar to a mollusc.  They swim with their legs extended but can contract them and close their "shell" to protect themselves.  They lack a distinct abdomen and circulatory system but have antennae to seek out food (diatoms, bacteria and detritus) and mandibles and maxilla to obtain it.  I will leave the anatomical details to Wikipedia.

Here are what 5th grade WOLF students would call "Fun Facts"* although some might be R-rated.
  • Although fish eat ostracods, some may survive the passage through the gut.  One study showed that 26% of those eaten by a bluegill passed out the rectum alive. Who counts these things?
  • Many species reproduce parthenogenetically, i.e. without male fertilization, but some species have the largest sperm in the animal kingdom, up to 3.6 times longer that the adult's body.
  • Ostracods are the most abundantly preserved arthropod in the fossil record (500 million years) and boast the oldest known example of a fossilized penis, 425 million years ago.
  • Some species are bioluminescent, a defense mechanism seen in this video.  During WWII, Japanese troops collected and dried specimens, then rehydrated them to provide a dim light for map reading without giving away their location.
We described predaceous diving beetles back in 2013 when we were young(er) and innocent (sorta) in this blog.  We were describing large and menacing beetles with 2" larvae that can put a major hurt on a naive naturalist's finger.  At that time I impulsively grabbed a larva and had throbbing finger and swelling to remember it by.  These in Linda's video belong to a genus of 1-3 mm beetles that probably couldn't penetrate my skin but are genuinely ferocious under Linda's microscope.

Desmopachria beetle larva
It is hard remember that these larvae, resembling alligators are actually tiny.  In the video you will see them grabbing the ostracods and opening the bivalve "shell" like an oyster.   Once open they pull out the "meat" with the panache of a seafood gourmet at an oyster festival.  I almost expected to see it wipe its mandibles with a bib napkin.  The Desmopachria larva looks like it was designed to prey on ostracods.

 Desmopachria dispersa - Mike Quinn CC
Linda has identified these tiny beetle larvae as being in the genus Desmopachria.*  There are way over 100 species in this genus with more identified each year.  They can be collected by their attraction to black lights and mercury vapor lamps.  Only the adult beetles can be identified by species, the larvae are all just Desmopachria sp.

Her video features guest appearances by flatworms (they look blue under the LED lights) and a Nematode in the last clip.  For the big show you are now ready to see Desmopachria and the Ostracods!
Much more on fascinating ostracods 30 Interesting Ostracod Facts.
 * For more details on Desmopachria, download Water Beetles of Florida  5.53 This is a large comprehensive PDF.  For the Desmopachria basics, see this page 5.53.
Photographs are taken from Linda Bower's video.